Did you know that 5-25% of all your site visitors use your Site Search bar? Did you know that Site Search visitors are more likely to make a purchase “today” vs. a non-Site Search visitor aka “browser”? Site Search is the single most important piece of technology on your site that is used by your
Opinions expressed by Entrepreneur contributors are their own. The marketing industry is on fire. With 50 percent of the top 10 marketing jobs being in the explosive digital/media space, it’s no wonder this generally recession-proof industry sparks so much interest among potential college students. But since the cost of college has skyrocketed 25 percent, more parents and
Opinions expressed by Entrepreneur contributors are their own. Whether you are looking for opportunities or just keeping tabs on the industry, LinkedIn is abuzz with professional networking activity. Unfortunately, it’s easy to get lost in the shuffle, as globally, there are over 740 million LinkedIn users. To stand out, you must shake things up, and this
Opinions expressed by Entrepreneur contributors are their own. In this digital age, competition seems to be more rampant than ever. The attention of customers is scattered due to the many choices they enjoy. Proper competitive research is fundamental to shield and set your business apart. The best way to stay ahead of your competition is
-- What comes next are data records, not part of the page --
____________
Entry 1:
Pu2PaN4: simulated powder X-ray diffraction pattern (Cu Kα), based on a structure optimized by DFT (GGA-PBE).

Largest 12 diffraction maxima, in order of falling intensity, 15 to 90 degrees two-theta:
2θ = 30.40°, d = 2.940 Å, I = 100; 2θ = 30.02°, d = 2.977 Å, I = 46; 2θ = 39.74°, d = 2.268 Å, I = 23; 2θ = 38.82°, d = 2.320 Å, I = 23; 2θ = 39.64°, d = 2.274 Å, I = 17; 2θ = 59.88°, d = 1.545 Å, I = 14; 2θ = 57.46°, d = 1.604 Å, I = 13; 2θ = 66.41°, d = 1.408 Å, I = 13; 2θ = 34.95°, d = 2.567 Å, I = 13; 2θ = 46.63°, d = 1.948 Å, I = 13; 2θ = 57.15°, d = 1.612 Å, I = 13; 2θ = 47.34°, d = 1.920 Å, I = 12

Cell and atoms:
abc: 7.173 7.173 7.354
angles: 90.00 90.00 90.00
Space group I-42d (No. 122)
Unique sites:
Pu1 0.115 0.250 0.125 x8
Pa1 0.000 0.000 0.500 x4
N1 0.064 0.187 0.806 x16


Entry 2:
Rb3PuPa2N6: simulated powder X-ray diffraction pattern (Cu Kα), based on a structure optimized by DFT (GGA-PBE).

Largest 12 diffraction maxima, in order of falling intensity, 15 to 90 degrees two-theta:
2θ = 30.00°, d = 2.979 Å, I = 100; 2θ = 33.80°, d = 2.652 Å, I = 98; 2θ = 26.54°, d = 3.358 Å, I = 51; 2θ = 58.13°, d = 1.587 Å, I = 36; 2θ = 46.34°, d = 1.959 Å, I = 36; 2θ = 50.70°, d = 1.800 Å, I = 32; 2θ = 54.19°, d = 1.692 Å, I = 25; 2θ = 28.97°, d = 3.082 Å, I = 24; 2θ = 62.34°, d = 1.490 Å, I = 17; 2θ = 60.04°, d = 1.541 Å, I = 15; 2θ = 77.77°, d = 1.228 Å, I = 15; 2θ = 84.40°, d = 1.148 Å, I = 15

Cell and atoms:
abc: 6.238 10.802 7.031
angles: 90.00 107.20 90.00
Space group C2/m (No. 12)
Unique sites:
Rb1 0.000 0.000 0.000 x2
Rb2 0.000 0.335 0.000 x4
Pu1 0.000 0.500 0.500 x2
Pa1 0.000 0.167 0.500 x4
N1 0.215 0.335 0.650 x8
N2 0.220 0.000 0.650 x4


Entry 3:
PuPa2VN4: simulated powder X-ray diffraction pattern (Cu Kα), based on a structure optimized by DFT (GGA-PBE).

Largest 12 diffraction maxima, in order of falling intensity, 15 to 90 degrees two-theta:
2θ = 27.57°, d = 3.235 Å, I = 100; 2θ = 31.50°, d = 2.840 Å, I = 91; 2θ = 30.69°, d = 2.913 Å, I = 76; 2θ = 38.52°, d = 2.337 Å, I = 59; 2θ = 36.03°, d = 2.492 Å, I = 45; 2θ = 53.20°, d = 1.722 Å, I = 42; 2θ = 47.98°, d = 1.896 Å, I = 35; 2θ = 50.06°, d = 1.822 Å, I = 28; 2θ = 28.51°, d = 3.131 Å, I = 23; 2θ = 61.87°, d = 1.500 Å, I = 23; 2θ = 63.58°, d = 1.463 Å, I = 20; 2θ = 52.71°, d = 1.736 Å, I = 17

Cell and atoms:
abc: 3.385 11.641 11.676
angles: 90.00 90.00 90.00
Space group Cmcm (No. 63)
Unique sites:
Pu1 0.000 0.105 0.250 x4
Pa1 0.000 0.367 0.052 x8
V1 0.000 0.159 0.750 x4
N1 0.000 0.000 0.000 x4
N2 0.000 0.272 0.624 x8
N3 0.000 0.444 0.250 x4


Entry 4:
RbSr3Pa2N6: simulated powder X-ray diffraction pattern (Cu Kα), based on a structure optimized by DFT (GGA-PBE).

Largest 12 diffraction maxima, in order of falling intensity, 15 to 90 degrees two-theta:
____________
Opinions expressed by Entrepreneur contributors are their own. When Facebook opened to the public in 2006, companies scrambled to make profiles, which later became pages. Brands knew that this platform was a then cutting-edge way to reach their customers — a way to “fish where the fish were”. Over time, though, Facebook has become less
The piece is interrupted by records of crystals:
No. 1
Li9Mn2Co5O16: calculated powder XRD pattern (Cu Kα (λ = 1.5418 Å)), based on a PBE+U-relaxed structure.
Neutral-atom scattering factors, no anomalous dispersion.

Most intense lines, 2θ = 10–90°, sorted by position:
Position (°2θ)	I_rel	index
18.53	100	0 0 4
34.89	18	2 0 -2
36.37	25	1 1 1
42.29	31	2 0 -6
44.29	53	1 1 5
47.71	10	1 1 -7
62.61	15	3 1 -1
63.17	15	1 1 -11

Crystal structure
```
data_Li9Mn2Co5O16
_space_group_name_H-M_alt 'P 1 2/m 1'
_space_group_IT_number 10
_cell_length_a 5.2005
_cell_length_b 2.8728
_cell_length_c 19.2948
_cell_angle_alpha 90.00
_cell_angle_beta 96.94
_cell_angle_gamma 90.00
loop_
_space_group_symop_operation_xyz
'x,y,z'
'-x,-y,-z'
'-x,y,-z'
'x,-y,z'
loop_
_atom_site_label
_atom_site_type_symbol
_atom_site_fract_x
_atom_site_fract_y
_atom_site_fract_z
Li1 Li 0.0000 0.0000 0.0000
Li2 Li 0.1201 0.5000 0.8797
Li3 Li 0.1292 0.0000 0.3770
Li4 Li 0.3791 0.5000 0.6253
Li5 Li 0.3834 0.0000 0.1184
Mn1 Mn 0.2515 0.5000 0.2488
Co1 Co 0.0000 0.5000 0.5000
Co2 Co 0.2473 0.0000 0.7498
Co3 Co 0.5000 0.0000 0.5000
Co4 Co 0.5000 0.5000 0.0000
O1 O 0.0838 0.0000 0.1897
O2 O 0.0862 0.5000 0.6925
O3 O 0.1733 0.0000 0.5546
O4 O 0.2388 0.5000 0.0532
O5 O 0.3246 0.5000 0.4404
O6 O 0.3273 0.0000 0.9433
O7 O 0.4076 0.5000 0.8060
O8 O 0.4172 0.0000 0.3080
```

---

No. 2
Cs2VAgF6: calculated powder XRD pattern (Cu Kα (λ = 1.5418 Å)), based on a PBE+U-relaxed structure.
Neutral-atom scattering factors, no anomalous dispersion.

Most intense lines, 2θ = 10–90°, sorted by position:
Position (°2θ)	I_rel	index
28.18	100	2 2 0
34.69	11	2 2 2
40.27	35	4 0 0
49.87	38	4 2 2
58.27	21	4 4 0
65.95	19	6 2 0
73.20	7	4 4 4
80.19	21	6 4 2

Crystal structure
```
data_Cs2VAgF6
_space_group_name_H-M_alt 'F m -3 m'
_space_group_IT_number 225
_space_group_name_Hall '-F 4 2 3'
_cell_length_a 8.9577
_cell_length_b 8.9577
_cell_length_c 8.9577
_cell_angle_alpha 90.00
_cell_angle_beta 90.00
_cell_angle_gamma 90.00
loop_
_atom_site_label
_atom_site_type_symbol
_atom_site_fract_x
_atom_site_fract_y
_atom_site_fract_z
Cs1 Cs 0.2500 0.2500 0.2500
V1 V 0.0000 0.0000 0.0000
Ag1 Ag 0.0000 0.0000 0.5000
F1 F 0.0000 0.0000 0.2203
```

=====

(1)
Starting from a DFT-relaxed cell (PBE, Alexandria), the powder diffractogram of HoPuSc2 was simulated for CuKα.
Peak positions follow from Bragg's law for the DFT cell and can differ from measured ones.

The 10 most intense peaks (10° ≤ 2θ ≤ 80°), most intense first:
(0 1 5), 33.78 deg, I 100; (0 0 6), 16.47 deg, I 98; (1 0 7), 36.50 deg, I 81; (1 0 1), 30.84 deg, I 55; (0 0 12), 33.30 deg, I 47; (0 1 2), 31.22 deg, I 41; (1 1 12), 65.48 deg, I 40; (1 1 0), 54.61 deg, I 34; (1 1 6), 57.45 deg, I 25; (0 1 17), 57.98 deg, I 21

```
data_HoPuSc2
_chemical_formula_sum 'Ho3 Pu3 Sc6'
_symmetry_space_group_name_H-M 'R 3 m'
_symmetry_Int_Tables_number 160
_symmetry_space_group_name_Hall 'R 3 -2"'
_cell_length_a 3.3611
_cell_length_b 3.3611
_cell_length_c 32.2888
_cell_angle_alpha 90.00
_cell_angle_beta 90.00
_cell_angle_gamma 120.00
Opinions expressed by Entrepreneur contributors are their own. If you aspire to be a coach, consultant, creator or online entrepreneur, you have to write. A lot. From email newsletters to blog posts to snappy captions on social media and more, written content communicates who you are and what you do in a way that appeals to
Back in 2018, Google began showing a snapshot of your Google Search Console data and analytics in the web search results for verified properties. Now, Google will also show this snapshot for domain property verification methods, not just the older verification methods. The announcement. Google announced this on Twitter saying “we are happy to share
Opinions expressed by Entrepreneur contributors are their own. The proverbial secret sauce to some of the most successful entrepreneurs arrives in one flavor: ghostwriters. Many of the world’s prominent business leaders build their success, and the success of their respective companies, by using ghostwriters to create a continuous and consistent stream of content. As an
Opinions expressed by Entrepreneur contributors are their own. Like many of you, I had a job in retail at the start of my working life. Retail positions were easy to get as a young, single person, and the discounts on merchandise or food were a fantastic perk. But I never really thought about where the
Opinions expressed by Entrepreneur contributors are their own. Social media is constantly evolving, and keeping up with the trends is difficult. People who deliberately made marketing plans for 2021 had to accommodate many shifts to make through. As an industry expert, I helped many influencers and businesses to formulate strategies to enhance engagement and growth.
Learn How to create an Instagram story and more with this Free Instagram marketing strategy course: https://clickhubspot.com/InstagramStrategy A guide to create a Instagram Story; Instagram Stories can drive a ton of engagement and value — whether you’re sharing a Story from a brand account or your own personal profile. In this video, you’ll learn how
These crystal structures were left in the page by mistake
=====
Record 1
For Fe2H4O2F5, a GGA+U-relaxed structure gives the simulated XRD peak list in this record (a wavelength of 1.5418 Å).

Structure:
a b c (Å): 7.6131 11.1707 6.5788
angles (deg): 90.00 90.00 90.00
Space group Imma (No. 74)
Symmetry-distinct sites (fractional):
Fe: 0.0000 0.0000 0.0000 x4
Fe: 0.2500 0.2500 0.2500 x4
H: 0.1037 0.0886 0.6208 x16
O: 0.0000 0.0642 0.7006 x8
F: 0.0000 0.2500 0.3347 x4
F: 0.2087 0.1253 0.0476 x16

Main lines, by angle (2θ from 15° to 90°):
2θ 15.6, I 100, (0 1 1); 2θ 23.9, I 43, (1 2 1); 2θ 27.5, I 38, (0 3 1); 2θ 28.2, I 38, (2 1 1); 2θ 28.4, I 58, (2 2 0); 2θ 49.0, I 41, (2 4 2)

---

Record 2
For MgCo6O8F4, a GGA+U-relaxed structure gives the simulated XRD peak list in this record (a wavelength of 1.5418 Å).

Structure:
a b c (Å): 5.0709 5.0789 8.5694
angles (deg): 87.63 87.57 76.78
Space group P1 (No. 1)
Symmetry-distinct sites (fractional):
Mg: 0.0000 0.0000 0.0000 x1
Co: 0.0188 0.4380 0.6319 x1
Co: 0.0548 0.4770 0.3283 x1
Co: 0.0797 0.4844 0.9933 x1
Co: 0.4749 0.8855 0.1709 x1
Co: 0.5305 0.9479 0.8179 x1
Co: 0.6026 0.0234 0.4881 x1
O: 0.2147 0.6853 0.1632 x1
O: 0.3427 0.1392 0.9897 x1
O: 0.3658 0.1668 0.3277 x1
O: 0.3732 0.1763 0.6527 x1
O: 0.7352 0.7741 0.9898 x1
O: 0.7399 0.7766 0.3301 x1
O: 0.7450 0.7853 0.6507 x1
O: 0.8682 0.2801 0.4847 x1
F: 0.2180 0.7253 0.8321 x1
F: 0.2216 0.6458 0.4983 x1
F: 0.8784 0.2799 0.1535 x1
F: 0.8798 0.2807 0.8302 x1

Main lines, by angle (2θ from 15° to 90°):
2θ 22.4, I 100, (1 1 0); 2θ 28.3, I 79, (1 -1 0); 2θ 35.8, I 45, (1 0 3); 2θ 36.9, I 35, (1 0 -3); 2θ 37.8, I 27, (2 1 1); 2θ 55.9, I 26, (1 -2 3)

---

Record 3
For Li7Si2Ni3O12, a GGA+U-relaxed structure gives the simulated XRD peak list in this record (a wavelength of 1.5418 Å).

Structure:
a b c (Å): 4.8750 8.4822 9.7409
angles (deg): 90.00 100.00 90.00
Space group C2/m (No. 12)
Symmetry-distinct sites (fractional):
Li: 0.0000 0.0000 0.0000 x2
Li: 0.2422 0.0000 0.7533 x4
Li: 0.2421 0.1627 0.2461 x8
Si: 0.0000 0.3332 0.0000 x4
Ni: 0.0000 0.1672 0.5000 x4
Ni: 0.0000 0.5000 0.5000 x2
O: 0.0920 0.5000 0.8957 x4
O: 0.1164 0.0000 0.3815 x4
O: 0.1456 0.3280 0.3865 x8
O: 0.1502 0.1864 0.8959 x8

Main lines, by angle (2θ from 15° to 90°):
2θ 18.5, I 100, (0 0 2); 2θ 37.3, I 22, (1 3 -1); 2θ 44.7, I 56, (1 3 -3); 2θ 45.1, I 27, (2 0 2); 2θ 64.4, I 15, (1 3 5); 2θ 66.3, I 14, (3 3 -1)

---

Record 4
For Sr2HfWO6, a GGA+U-relaxed structure gives the simulated XRD peak list in this record (a wavelength of 1.5418 Å).

Structure:
a b c (Å): 8.2347 8.2347 8.2347
angles (deg): 90.00 90.00 90.00
Space group Fm-3m (No. 225)
Symmetry-distinct sites (fractional):
Sr: 0.2500 0.2500 0.2500 x8
Hf: 0.0000 0.0000 0.0000 x4
W: 0.0000 0.0000 0.5000 x4
O: 0.0000 0.0000 0.2505 x24

Main lines, by angle (2θ from 15° to 90°):
2θ 21.6, I 22, (2 0 0); 2θ 30.7, I 100, (2 2 0); 2θ 44.0, I 29, (4 0 0); 2θ 54.6, I 41, (4 2 2); 2θ 64.0, I 18, (4 4 0); 2θ 88.9, I 22, (6 4 2)

---

Record 5
=====
End of the crystal structures
I go over all these tips and tactics in these videos like content marketing, link building, but how do you integrate them into a SEO campaign? It’s kind of confusing, right? Today I’m going to share with you the anatomy of a perfect SEO campaign. Not only am I going to end up breaking down
Opinions expressed by Entrepreneur contributors are their own. Most major technological trends develop behind the scenes for a long time. Then, at some point, a larger-than-life personality pushes things into more of a mainstream focus. Steve Jobs did it with iPads. Elon Musk is doing it with EVs. That’s why, when Mark Zuckerberg announced Facebook’s rebrand
Opinions expressed by Entrepreneur contributors are their own. One of the most important goals in PR is to secure media coverage. “Placements” are the lifeblood of our industry. “Publicity,” “press” or media “hits” are how we show value. But whatever the descriptor used, media coverage is almost always a good thing. However, when a PR
Evaluating a site for “quality” is the most misunderstood concept in SEO. As a result, you may be leaving sites out of your outreach that can drive ranking, or you may be including sites that will provide no value or potentially get you penalized. This presentation is for digital marketers who want to scale up
Takeaways from this episode: Learn to Communicate Better – When Matt Cooper’s stadium catering team was tasked with working the Super Bowl, it took about a year of planning to pull off. Because the time spent enough time in advance preparing logistics it all went off great when the events came. Invest in New Technology
Opinions expressed by Entrepreneur contributors are their own. Consider the insanity of this statement: “Recently it’s become apparent that quality food and regular exercise are crucial to one’s health. That’s why I decided to eat a high-quality meal once per week and ride my exercise bike every Saturday morning.” Everyone understands that engaging once-weekly in
Opinions expressed by Entrepreneur contributors are their own. I’ve been hearing frustrated entrepreneurs and freelance publicists lament for weeks: “Getting media exposure for my brands has been tough!” From the rise of influencers to the consolidation and collapse of media outlets, the past two years dramatically altered the public-relations and digital-marketing landscape, making earned media, even for the most